## Source
<<<
This entry pairs a crystal structure of SrTb2WO8 with its theoretical XRD peak list. Radiation: Cu Kα (λ = 1.5418 Å). Structure: a DFT-relaxed cell (PBE+U, Alexandria).
No peak broadening, texture or thermal motion is included.

Structure:
abc: 4.1887 5.4284 6.9918
angles: 90.55 107.10 90.69
Fractional positions:
Sr1 0.0000 0.0000 0.0000
Tb1 0.3771 0.4831 0.7041
Tb2 0.6229 0.5169 0.2959
W1 0.0000 0.0000 0.5000
O1 0.1771 0.5054 0.9986
O2 0.1876 0.2360 0.3586
O3 0.1931 0.7038 0.4115
O4 0.3558 0.0554 0.7533
O5 0.6442 0.9446 0.2467
O6 0.8069 0.2962 0.5885
O7 0.8124 0.7640 0.6414
O8 0.8229 0.4946 0.0014

The 12 most intense peaks (5 to 70 degrees two-theta), by angle:
d/Å	Rel. int.
6.682	81.5
3.991	35.6
3.246	91.2
3.198	66.8
3.043	100.0
2.863	61.9
2.828	53.2
2.714	79.0
2.645	32.8
2.259	26.7
2.025	85.8
1.868	24.9
>>>

## Work order
Next, duplicate the lines further above from the one with "6.682" to the one with "1.868" verbatim.

## Here it is
6.682	81.5
3.991	35.6
3.246	91.2
3.198	66.8
3.043	100.0
2.863	61.9
2.828	53.2
2.714	79.0
2.645	32.8
2.259	26.7
2.025	85.8
1.868	24.9